Welcome to The Bachelor Watch 2014. The show is celebrating 18 seasons of hot-tub make-out sessions, romantic bungee jumps and testing the outer limits of waterproof mascara with their first ever Latino bachelor. The lucky man the lucky ladies will be wooing? None other than fan favorite Juan Pablo Galavis, who won the heart of America without even getting a one-on-one date with Bachelorette Desiree Hartsock.
Juan Pablo is an American who was raised in Venezuela. So he’s trilingual, English, Spanish and of course, “the language of looooove,” or so he manages to proclaim without cracking a smile. Much of Juan Pablo’s loooove is saved for his daughter, Camila, but the rest he is willing to share with a woman. Luckily, he will have 27 lovely ladies to choose from. While 25 is the norm for these sorts of things, host Chris Harrison explains that there were just too many ladies who wanted to date Juan Pablo, so they had no choice but to allow two extra women into the mix. In the words of Juan Pablo, “It’s about to get real.” Or, you know, as real as most of the contestants’ cleavage.
Here’s what happened last night on The Bachelor:
Sean, the born-again virgin who found love on the last season of The Bachelor and will soon be married off on a nationally-broadcast primetime wedding, encourages Juan Pablo to make all the women feel at home by kiss each and everyone all.
Best Attitude: Before meeting the women, Juan Pablo promises he is taking this “as seriously as he can take this.” The feeling is mutual.
The Arrival: Juan Pablo looks nervous as the limos pull up, but maybe because he saw the footage of the girl armed with a compound bow, staring down the camera and saying she’s aiming at his heart. A steady stream of women in prom dresses cheer him right up. There’s Kat, in a red dress, who makes him teach her how to salsa. There’s Chantel (not to be confused with the Chantal/Shawntel of seasons past) and blonde Chelsey who wants to make chemistry with Juan Pablo. Alli, a nanny, who emerged from the limo in Adidas kicks and looking for a teammate and Valerie, who left her compound bow at home.
Most Useful Skill Set: While Danielle, a psychiatric nurse in an ombre dress, is ostensibly a contestant on the show, she hopefully brought a stack of business cards to hand out to some of the other women. We also hope Lauren stopped crying long enough to take one.
Best Prop/Exercise Equipment: Lauren, a composer, rode a piano bicycle (Google that) up to the mansion while wearing a prom dress and high heels, which should earn her a rose for effort. Adding to their meet-cute, Juan Pablo had to sneak inside the mansion to ask Lauren her name, because she forgot to tell him.
(MORE: 7 Reality TV Shows to Hate-Watch in 2014)
Best Stunt Pregnancy: Clare, a hairstylist, emerges from the limo holding her pregnant belly. She smiles at Juan Pablo, lets him rub her stomach and coos that she knows he wants more children. Instead of thinking it’s creepy, Juan Pablo is kind of into it. Unfortunately, the pregnancy is fake and she’s just trolling the world and is thus a new favorite contestant.
Cutest Contestant: Molly the cocker spaniel, who brought along her human, Kelli. Hope they are both crate trained.
Frontrunners: Based on nothing but the experience of watching 18 seasons of this show: Andi, the assistant district attorney from Florida; Chelsea, a science teacher; Victoria, a Brazilian legal assistant; and Nikki, the pediatric nurse.
Best Career: Giving this one to Lacy, who was given the title “free spirit.” She showed up shoeless and with flowers in her hair.
Boldest Fashion Move: Kylie, a redhead, wore a pink dress. Molly Ringwald would be proud.
These records of molecules were left in the article by mistake >
........
C2H5N3S | ωB97M-V with the def2-TZVPD basis set

ORCA input file:
```
! wB97M-V def2-TZVPD RIJCOSX def2/J DEFGRID3
* xyz 0 1
N -0.54 -1.43 1.03
N 0.59 -2.18 -0.91
C 0.07 -1.19 -0.03
H -0.20 3.17 -0.14
S 0.30 0.47 -0.68
H -0.90 -0.56 1.47
C -0.50 2.57 0.66
H 1.53 -1.92 -1.21
N -0.40 1.27 0.69
H -0.83 2.99 1.67
H 0.58 -3.10 -0.39
*
```

SMILES string = [H]/N=C(/N)SN=C
HOMO level = -9.12 eV

=====

C2H5N3S2 | ωB97M-V with the def2-TZVPD basis set

ORCA input file:
```
! wB97M-V def2-TZVPD RIJCOSX def2/J DEFGRID3
* xyz 0 1
H -0.34 -1.42 2.22
N 0.81 0.90 0.43
C 0.09 0.09 1.20
S -1.38 -0.39 -1.51
H -2.53 -0.35 -2.27
H 1.94 -0.67 -1.75
C -1.42 0.26 0.97
H -1.94 0.44 1.86
N 0.45 -1.05 1.77
S 2.41 0.28 -0.24
N -2.08 0.09 -0.08
H 0.19 2.02 0.25
*
```

HOMO level = -9.07 eV

=====

Relative energy (zero: lowest compared OMol25 entry of this formula, charge and spin) (computed, eV): 1.673, 5.948


Entry 1:
The following is a DFT calculation (the ωB97M-V functional and the def2-TZVPD basis) of a molecular structure, C4H8O2.

Each line ends with the Löwdin charge.
Positions of all 14 atoms, in Å:
C1 1.52 0.14 -0.24  -0.01
C2 0.14 -0.14 0.31  -0.54
O1 0.29 -0.66 1.60  0.01
C3 -0.78 -0.87 -0.70  -0.11
O2 -1.42 0.37 -1.04  -0.10
C4 -0.87 1.01 0.11  -0.12
H1 1.43 0.63 -1.22  0.10
H2 2.08 -0.79 -0.35  0.09
H3 2.07 0.80 0.44  0.09
H4 -0.57 -0.63 2.04  0.10
H5 -1.48 -1.57 -0.21  0.13
H6 -0.32 -1.36 -1.56  0.13
H7 -1.60 1.06 0.94  0.13
H8 -0.49 2.01 -0.10  0.13

The calculation puts the frontier orbital gap at 10.790 eV. As for the energy above the lowest of the compared OMol25 structures with the same formula, charge and spin: 1.838 eV. For the maximum force, the calculation gives 0.4 eV/A. Its total energy is -307.64488 hartree. Its total charge is 0.

Entry 2:
The following is a DFT calculation (the ωB97M-V functional and the def2-TZVPD basis) of 2 unconnected molecules or ions with the total composition C4H8O2.

Each line ends with the Löwdin charge.
Positions of all 14 atoms, in Å:
C1 1.40 -0.27 -1.28  -0.07
C2 0.26 0.96 1.00  0.05
C3 -0.52 0.29 2.06  -0.23
O1 0.19 -0.61 -0.58  -0.16
C4 -0.95 -0.64 -1.29  -0.35
O2 -2.02 -0.82 -0.78  0.10
H1 2.09 0.04 -0.51  0.08
H2 1.77 -1.14 -1.84  0.10
H3 1.22 0.57 -1.96  0.10
H4 -0.49 1.50 0.37  0.02
H5 -1.53 -0.06 1.82  0.06
H6 -0.63 1.15 2.75  0.09
H7 0.03 -0.48 2.61  0.06
H8 -0.80 -0.48 -2.37  0.15

The calculation puts the frontier orbital gap at 9.008 eV. As for the energy above the lowest of the compared OMol25 structures with the same formula, charge and spin: 5.038 eV. For the maximum force, the calculation gives 0.6 eV/A. Its total energy is -307.52728 hartree. Its total charge is 0.

Entry 3:
The following is a DFT calculation (the ωB97M-V functional and the def2-TZVPD basis) of 2 unconnected molecules or ions with the total composition C4H8O2.

Each line ends with the Löwdin charge.
Positions of all 14 atoms, in Å:
O1 -1.23 0.26 -0.86  0.00
C1 -0.43 -0.76 -0.42  -0.49
C2 0.27 -1.47 -1.30  0.04
........
The Introduction: Juan Pablo bravely heads inside to meet the 27 women vying for his affection, attention and ardor. He starts things off by thanking the ladies for taking the time away from their busy lives. While he didn’t look directly at the “free spirit” and the “dog lover,” it was implied he was talking to them.
The Cocktail Party: Some genius has finally stuck a photo booth in the mansion. So everyone can drink and snap selfies the way God and Instagram planned it. Juan Pablo takes several of the ladies into the booth to take some photos that will inevitably end up being used in scrapbooking.
Biggest Set Up: The producers helpfully provided a massage table so Amy could rub Juan Pablo down. She seemed to enjoy it more than he did.
The First-Impression Rose: Sharleen, the opera singer, who was just off the plane from Germany and was seemingly jetlagged, surprised everyone (including herself) by earning the valued first-impression rose. While Juan Pablo was doing the rose fetch of shame in front of all the other women, Sharleen was telling the camera, “If I’m totally honest, it seemed a little forced.”
Best Reaction: When Juan Pablo handed Sharleen the rose and asked her if she would accept it, she stared at him and said: “Seriously?” Then she paused and added, “Sure,” with a shrug. Best contestant ever?
Bachelor Milestone: First Tears. Halfway through the cocktail party, Lauren, the broken-hearted mineral coordinator, realizes that she has a few issues to work through from her last breakup. She has that epiphany during her nationally televised breakdown when confronted with fighting for a man with 25 other women, plus a free spirit and a massage therapist.
The Rose Ceremony: The first rose goes to Claire the fake-pregnancy lady, followed by Nikki the nurse, Renee the single mom, Andi the lawyer, a bunch of brunettes who sort of blend together, Molly and her human Kelly, Chelsey, Kat, shoeless Lucy, some blonde.
Most Awkward Moment: Kylie, the redhead in the pink dress, totally thought Juan Pablo called her name, but he didn’t. He wanted Kat, the brunette in the red dress. It’s always uncomfortable when a guy calls out the wrong name. Kylie then asked Juan Pablo if they could both stay, but, yeah, no.
The Dearly Departed: Amy the massage therapist “put herself out there completely” and thought he was the one, but got sent home anyway. Lauren can’t believe she is going home the first night even though she cried all over the Bachelor. Next time she should talk about her mineral collection. Others who left include: Alexis, Ashley, Christine, Kylie, Lacy, Maggie, Valerie, Oin, Gloin and Doc.
Ashley Count: One, and she got sent home. Can The Bachelor be The Bachelor if none of the contestants are named Ashley?
“You Smell Good”: Four
Use of Word” Fairytale”: 2.
Shots of Juan Pablo Without A Shirt: 7